SetCenter(Lat, Lon: Double); |
Centers the map around geocoordinate Lat/Lon |
SetZoom(Zoom: Integer); |
Controls the map zoom level (between 1 and 21 for US & Europe, other areas the maximum zoom level might be lower) |
AddMarker(Lat, Lon: Double; Title: string =''); |
Adds a marker with optional title at geocoordiate Lat/Lon |
AddMarker(Lat, Lon: Double; PinIcon: string;Title: string = ''); |
Adds a marker with image URL PinIcon and with optional title at geocoordiate Lat/Lon |
AddMarker(Lat, Lon: Double; Color: TColor: PinLetter: string;Title: string = ''); |
Adds a marker with specified color and letter in the pin and with optional title at geocoordinate Lat/Lon |
AddMarker(Lat, Lon: Double; Color: TGoogleMarkerColor;Title: string = ''); |
Adds a default Google marker with specified color and with optional title at geocoordinate Lat/Lon The default Google colors can be: mcDefault , mcRed , mcBlue , mcGreen , mcPurple , mcYellow |
AddMarker(Lat, Lon: Double; Shape: TGoogleMarkerShape; Color: TColor; BorderColor: TColor; Scale: Double; CustomShape = string = ‘’;Title: string = ''); |
Adds a marker with specified shape, color, bordercolor, scale and with optional title at geocoordinate Lat/Lon The shape can be: msPin , msPinDot , msFlag , msBookmark , msFlagSmall , msHome , msFavorite , msStar , msCustom If msCustom is selected a CustomShape value can be provided. |
AddMarker(Lat,Lon: Double; PinIcon: string; Title: string; XOffset: integer = 0; YOffset: integer = 0); |
Adds a marker with specified image URL and hint at geocoordinate Lat/Lon . Optionally, and X,Y offset of the image versus the Lat/Lon position can be specified |
AddPolyline(Points: TJSArray; AColor: TColor = clRed; AWidth: Integer = 2; AOpacity: Double = 1) |
Adds a polyline with the specified coordinate Points and with optional color, width and opacity |
AddPolygon(Points: TJSArray; AFillColor: TColor = clRed; AStrokeColor: TColor = clBlack; AWidth: Integer = 2; AOpacity: Double = 1) |
Adds a polygon with specified coordinate Points and with optional fill color, stroke color, width and opacity |
AddCircle(Lat, Lon: Double; Radius: Integer; AFillColor: TColor = clRed; AStrokeColor: TColor = clBlack; AWidth: Integer = 2; AOpacity: double = 1) |
Adds a circle with specified center coordinates, radius and optional fill color, stroke color, width and opacity |
AddRectangle(NorthEastLat, NorthEastLon, SouthWestLat, SouthWestLon: Double; AFillColor: TColor = clRed; AStrokeColor: TColor = clBlack; AWidth: Integer = 2; AOpacity: Double = 1) |
Adds a rectangle with specified coordinates, radius and optional fill color, stroke color, width and opacity |
AddGPX(AGPX: string; AColor; TColor; AWidth: Integer; AOpacity: Double); |
Adds a GPX layer with optional Color, Width and Opacity to the map |
AddKML(Url: string; ZoomToBounds: Boolean = true) |
Adds a KML layer with specified Url to the map and optionally zoom to the KML layer bounds |
ClearMarkers |
Removes all markers from the map |
ClearPolylines |
Removes all polylines from the map |
ClearPolygons |
Removes all polygons from the map |
ClearCircles |
Removes all circle from the map |
ClearRectangles |
Removes all rectangles from the map |
ClearKMLs |
Removes all KMLs from the map |
MoveMarker(AIndex: integer; NewLat, NewLon: double) |
Moves the marker with index AIndex to the new coordinates NewLat/NewLon. |
ShowDirections(Source, Destination: string; ATravelMode: TGoogleTravelMode = tmDriving; WayPoints: TStringList = nil; OptimizeWayPoints: Boolean = False; AvoidHighways: Boolean = False; AvoidTolls: Boolean = False); |
Show the calculated route between Source and Destination expressed as addresses. Optionally set TravelMode , add WayPoints , OptimizeWayPoints , AvoidHighways , AvoidTolls |
ShowDirections(SourceLon, SourceLat, DestLon, DestLat: Double; ATravelMode: TGoogleTravelMode = tmDriving; WayPoints: TStringList = nil; OptimizeWayPoints: Boolean = False; AvoidHighways: Boolean = False; AvoidTolls: Boolean = False); |
Show the calculated route between Source and Destination expressed as coordinates. Optionally set TravelMode , add WayPoints , OptimizeWayPoints , AvoidHighways , AvoidTolls |
RemoveDirections |
Removes the display of a route on the map |
GeoCode(const Address: string); |
Converts the address to the geocoordinate Lat/Lon. The result of the conversion is retrieved via the event OnGeoCoded |
PanTo(Lat, Lon: Double) |
Pan the center of the map to the provided coordinates |
SetHeading(AHeading: Double) |
Sets the heading of the map. Note that this feature is only available when MapRender is set to mrVector |
SetTilt(ATilt: Double) |
Sets the tilting of the map. Note that this feature is only available when MapRender is set to mrVector |
SetZoom(Zoom: Integer) |
Zoom the map to the provided zoom level |
Distance(Lon1,Lat1,Lon2,Lat2: double): double; |
Calculates the straight-line distances in kilometers between two coordinates |
FitBounds(LatMin, LonMin, LatMax, LonMax: Double) |
Pan and zoom the map to the bounds of the provided coordinates |
# Unrelated to this article: molecular data
........
<a>
Formula: C4H13NOS
Source: OMol25
Level of theory: the ωB97M-V functional and the def2-TZVPD basis

Atoms and positions in Å:
N (1.449, -2.228, 0.825)
C (0.087, -1.779, 0.942)
C (0.153, -0.296, 1.390)
C (0.473, 0.748, 0.327)
C (-0.625, 1.405, -0.541)
S (-1.217, 2.922, 0.309)
H (1.824, -1.918, -0.024)
H (1.617, -3.298, 0.810)
H (-0.629, -2.102, 0.072)
H (-0.444, -2.353, 1.753)
H (-0.786, -0.093, 1.797)
H (0.908, -0.254, 2.114)
H (1.020, 0.304, -0.423)
H (1.150, 1.560, 0.892)
H (-1.520, 0.730, -0.783)
H (-0.174, 1.593, -1.575)
H (-1.736, 3.661, -0.728)
O (0.859, -3.015, -2.661)
H (0.021, -2.621, -2.423)
H (0.672, -2.713, -3.627)

Summary:
**Highest occupied orbital energy**: -0.3297 Eh
**HOMO-LUMO gap**: 9.38 eV
**Net charge**: 0

<b>
Formula: C4H13NOS
Source: OMol25
Level of theory: the ωB97M-V functional and the def2-TZVPD basis

Atoms and positions in Å:
C (-0.913, -0.150, 2.039)
C (-0.010, 0.557, 1.130)
N (0.864, -0.218, 0.282)
C (-0.756, 1.484, 0.102)
C (0.172, 1.867, -1.154)
S (1.593, 2.982, -0.508)
H (-1.748, -0.631, 1.685)
H (-1.441, 0.797, 2.614)
H (-0.425, -0.827, 2.703)
H (0.515, 1.138, 1.800)
H (1.847, -0.313, 0.754)
H (0.574, -1.269, 0.210)
H (-1.711, 0.930, -0.013)
H (-1.038, 2.427, 0.639)
H (0.552, 0.922, -1.722)
H (-0.492, 2.556, -1.773)
H (2.579, 1.993, -0.395)
O (0.253, -4.879, -2.985)
H (-0.314, -4.115, -3.259)
H (-0.103, -5.252, -2.149)

Summary:
**Highest occupied orbital energy**: -0.3263 Eh
**HOMO-LUMO gap**: 9.39 eV
**Net charge**: 0

<c>
Formula: C4H13NOS
Source: OMol25
Level of theory: the ωB97M-V functional and the def2-TZVPD basis

Atoms and positions in Å:
C (-2.062, 0.826, 0.389)
C (-2.080, -0.694, 0.227)
N (-0.839, -1.326, -0.191)
C (0.083, -1.748, 0.874)
C (0.372, -0.762, 1.998)
S (1.542, 0.571, 1.501)
H (-1.733, 1.065, 1.409)
H (-1.282, 1.351, -0.161)
H (-2.987, 1.350, 0.175)
H (-2.943, -1.067, -0.328)
H (-2.358, -1.082, 1.219)
H (-0.349, -0.636, -0.738)
H (1.040, -1.964, 0.408)
H (-0.286, -2.700, 1.187)
H (-0.483, -0.289, 2.466)
H (0.905, -1.332, 2.765)
H (1.737, 0.103, 0.267)
O (4.277, 2.824, -4.630)
H (3.615, 2.162, -4.881)
H (3.831, 3.348, -3.956)

Summary:
**Highest occupied orbital energy**: -0.3342 Eh
**HOMO-LUMO gap**: 9.59 eV
**Net charge**: 0

<d>
Formula: C4H13NOS
Source: OMol25
Level of theory: the ωB97M-V functional and the def2-TZVPD basis

Atoms and positions in Å:
C (0.289, -2.329, 0.557)
N (-0.270, -1.093, -0.014)
C (0.910, -0.265, -0.330)
C (0.301, 0.633, -1.482)
C (1.355, 1.577, -2.016)
S (0.609, 2.613, -3.296)
H (1.036, -2.760, -0.130)
H (-0.519, -3.066, 0.706)
H (0.774, -2.138, 1.529)
H (-0.736, -1.343, -0.895)
H (1.210, 0.183, 0.637)
H (1.741, -0.910, -0.674)
H (-0.042, -0.084, -2.253)
H (-0.571, 1.243, -1.178)
H (1.865, 2.191, -1.249)
H (2.127, 0.978, -2.536)
H (-0.236, 3.305, -2.503)
O (-3.093, 0.598, 5.350)
H (-2.714, 0.349, 4.477)
H (-4.035, 0.318, 5.301)

Summary:
**Highest occupied orbital energy**: -0.3320 Eh
**HOMO-LUMO gap**: 9.81 eV
**Net charge**: 0
........
# End of the molecular data
GetCenter(var Lat, Lon: Double): Boolean |
Returns the current center coordinate of the map |
GetCoord(Lon,Lat: Double): JSValue |
Returns a Google maps coordinate object from a given longitude and latitude |
GetBBox(Lon1,Lat1,Lon2,Lat2: double): JSValue; |
Returns a Google bounding box object from two coordinates. |
GetBounds(var NorthEastLat, NorthEastLon, SouthWestLat, SouthWestLon: Double): Boolean; |
Returns the current bounds of the map |
SetDoubleClickZoom(AValue: Boolean) |
Sets if the map is zoomed when a double click occurs |
SetScrollWheel(AValue: Boolean) |
Sets if the map is zoomed when the mouse wheel is used |
SetDraggable(AValue: Boolean) |
Sets if the map can be dragged to a new position |
[Molecular data that have nothing to do with the article]
- - -
{
  "formula": "C49H49BF4N7O5P2PbS",
  "method": "ωB97M-V with the def2-TZVPD basis set",
  "species": ["Pb", "O", "C", "N", "C", "C", "C", "C", "C", "C", "N", "C", "C", "C", "C", "C", "N", "H", "H", "H", "H", "H", "H", "H", "H", "H", "H", "O", "C", "C", "C", "C", "C", "C", "C", "O", "N", "O", "O", "H", "H", "H", "H", "C", "N", "P", "C", "C", "C", "C", "C", "C", "C", "C", "C", "C", "C", "C", "P", "C", "C", "C", "C", "C", "C", "C", "C", "C", "C", "C", "C", "H", "H", "H", "H", "H", "H", "H", "H", "H", "H", "H", "H", "H", "H", "H", "H", "H", "H", "H", "H", "H", "H", "H", "F", "B", "F", "F", "F", "C", "C", "N", "C", "S", "N", "C", "C", "H", "H", "H", "H", "H", "H", "H", "H", "H", "H", "H", "H"],
- - -
SetMapType(AMapType: TGoogleMapType = mtDefault) |
Sets the map type to display. Options are mtDefault , mtSatellite , mtHybrid , mtTerrain |
SetMarkerTitle(AIndex: Integer; ATitle: string) |
Sets the title of the marker with index AIndex |
SetMarkerLocation(AIndex: Integer; Lat, Lon: Double); |
Sets the location of the marker with index AIndex |
SetMarkerIcon(AIndex: Integer; Url: string); |
Sets the icon of the marker with index AIndex |
SetCircleCenter(AIndex: Integer; Lat, Lon: Double); |
Sets the icon of the marker with index AIndex |
SetCircleCenter(AIndex: Integer; Lat, Lon: Double); |
Sets the center of the circle with index AIndex |
SetCircleRadius(AIndex, Radius: Integer); |
Sets the radius of the circle with index AIndex |
SetCircleColors(AIndex: Integer; AFillColor, AStrokeColor: TColor); |
Sets the colors of the circle with index AIndex |
SetRectangleLocation(AIndex: Integer; NorthEastLat, NorthEastLon, SouthWestLat, SouthWestLon: Double); |
Sets the location of the rectangle with index AIndex |
SetRectangleColors(AIndex: Integer; AFillColor, AStrokeColor: TColor); |
Sets the colors of the rectangle with index AIndex |
SetPolylineColor(AIndex: Integer; AColor: TColor); |
Sets the color of the polyline with index AIndex |
SetPolylinePoints(AIndex: Integer; Points: TJSArray); |
Sets the points of the polyline with index AIndex |
SetPolygonColors(AIndex: Integer; AFillColor, AStrokeColor: TColor); |
Sets the colors of the polygon with index AIndex |
SetPolygonPoints(AIndex: Integer; Points: TJSArray); |
Sets the points of the polygon with index AIndex |
ShowStreetView(Lat, Lon: Double; Heading: Integer = 0; Zoom: Integer = 0; Pitch: Integer = 0) |
Display streetview mode for the provided coordinates. Optionally set the heading |
HideStreetView |
Hide streetview mode |
RemoveMarker(AIndex: Integer); |
Remove the marker with index AIndex from the map |
RemovePolygon(AIndex: Integer) |
Remove the polygon with index AIndex from the map |
RemovePolyline(AIndex: Integer); |
Remove the polyline with index AIndex from the map |
RemoveCircle(AIndex: Integer); |
Remove the circle with index AIndex from the map |
RemoveRectangle(AIndex: Integer); |
┌──
No. 1
15
Properties=species:S:1:pos:R:3 method="wB97M-V/def2-TZVPD" total_charge=-1 energy_ev=-18646.554 homo_energy_ev="-1.827 / -2.156"
C 2.59788 -0.13875 -0.97905
C 0.12828 0.55842 1.18355
C -0.85214 0.21868 0.26017
C -0.83917 -1.21046 -0.18507
N -1.81421 1.09355 -0.02867
O -2.78503 0.91400 -0.92916
S 2.06988 1.27153 -0.22612
H 2.92806 -0.86938 -0.24920
H 2.11501 -0.21947 -1.99646
H 0.09233 1.26225 1.88123
H 0.75708 -0.18954 1.55004
H -1.13001 -1.72502 0.63484
H 0.11371 -1.49130 -0.51480
H -1.39817 -1.32811 -1.09055
H -1.98351 1.85358 0.68924

No. 2
79
Properties=species:S:1:pos:R:3 method="wB97M-V/def2-TZVPD" spin_multiplicity=2 energy_ev=-112887.753 homo_energy_ev="-7.544 / -7.631"
Mg -1.06151 -1.20183 -0.27498
N -1.01910 -2.84615 1.20228
N -1.83635 -2.34902 2.24894
C -1.88537 -0.92131 2.39926
O -2.25148 -0.49848 3.47931
O -1.57456 -0.25789 1.34765
H -1.42273 -3.70041 0.83435
H -0.07325 -3.04674 1.51660
H -1.72789 -2.81494 3.13921
C -4.61168 0.34458 -3.01033
C -4.66491 -1.12020 -2.59634
As -3.73168 -1.50977 -0.92491
C -4.92171 -0.80066 0.45335
C -4.74866 0.68819 0.72967
C -4.14391 -3.41487 -0.75379
C -3.41475 -4.27731 -1.77642
H -5.02641 0.48013 -4.01034
H -3.58625 0.72026 -3.02388
H -5.18258 0.97598 -2.33047
H -4.19327 -1.74671 -3.35581
H -5.69437 -1.46911 -2.48283
H -4.68427 -1.37977 1.34926
H -5.94724 -1.04914 0.16690
H -3.72412 0.91342 1.02452
H -5.40417 0.99824 1.54461
H -4.99639 1.29726 -0.14034
H -5.22815 -3.52851 -0.83257
H -3.87515 -3.68762 0.27014
H -3.75961 -4.06538 -2.79036
H -3.59657 -5.33737 -1.59148
H -2.33739 -4.09957 -1.76184
C -1.13555 -1.39877 -3.96069
C -0.41650 -1.27581 -2.63128
O -0.43590 -2.30368 -1.83699
N 0.10415 -0.12055 -2.34990
Te 1.64871 -0.24892 -0.58249
C 3.46393 -0.33026 0.64799
C 3.50813 -1.25966 1.68827
C 2.40064 -2.23959 1.97052
C 4.62499 -1.27677 2.52253
C 5.68811 -0.40753 2.33482
C 6.89078 -0.43916 3.23734
C 5.62854 0.47857 1.26810
C 4.53679 0.53197 0.40606
C 4.56967 1.50604 -0.73656
C 1.27727 1.79461 -0.17565
C 1.11901 2.19826 1.15561
C 1.26037 1.29598 2.35113
C 0.85624 3.54327 1.41390
C 0.75364 4.48222 0.40250
C 0.45896 5.92526 0.70632
C 0.93687 4.05474 -0.90567
C 1.20399 2.72774 -1.22193
C 1.41823 2.40349 -2.67548
H -0.40120 -1.46895 -4.76376
H -1.74352 -0.51482 -4.15218
H -1.75470 -2.29369 -3.96307
H 2.03684 -2.72307 1.06142
H 1.55381 -1.73742 2.45118
H 2.75104 -3.02065 2.64489
H 4.66073 -1.99165 3.33822
H 6.73083 -1.10255 4.08664
H 7.11933 0.55501 3.62414
H 7.77454 -0.79011 2.70101
H 6.46309 1.14946 1.08910
H 5.59239 1.83147 -0.92552
H 3.96663 2.38996 -0.52170
H 4.17848 1.06222 -1.65227
H 1.11874 0.24825 2.10241
H 0.51535 1.55145 3.10413
H 2.25641 1.40440 2.78887
H 0.72611 3.85475 2.44486
H 0.42371 6.10099 1.78077
H -0.50285 6.22504 0.28603
H 1.21972 6.58119 0.27994
H 0.88237 4.77797 -1.71363
H 1.97104 3.21485 -3.15180
H 0.46478 2.28568 -3.19021
H 1.96079 1.47348 -2.82728

No. 3
65
Properties=species:S:1:pos:R:3 method="wB97M-V/def2-TZVPD" total_charge=+1 energy_ev=-453595.645 homo_energy_ev=-11.602
└──
Remove the rectangle with index AIndex from the map |